[Contents]
~~~
1.
Eu2PuHg (PBE, optimized geometry); formation energy = -105.3 meV per atom; calculated volume = 128.1 Å³ per cell; energy above the lowest structure with this stoichiometry = 0.000 eV/atom; crystal system = tetragonal; N(E_F) = 13.50 states/eV/cell
1.0
3.7765 0.0000 0.0000
0.0000 3.7765 0.0000
0.0000 0.0000 8.9809
Eu Pu Hg
2 1 1
Direct
0.0000 0.0000 0.2190 Eu
0.0000 0.0000 0.7810 Eu
0.5000 0.5000 0.5000 Pu
0.5000 0.5000 0.0000 Hg

---

2.
Pm2ThSc7 (PBE, optimized geometry); formation energy = 154.1 meV per atom; calculated volume = 277.4 Å³ per cell; crystal system = orthorhombic; N(E_F) = 17.53 states/eV/cell
1.0
3.0616 -13.6793 0.0000
3.0616 13.6793 0.0000
0.0000 0.0000 3.3123
Pm Th Sc
2 1 7
Direct
0.2086 0.7914 0.0000 Pm
0.7914 0.2086 0.0000 Pm
0.5000 0.5000 0.5000 Th
0.0000 0.0000 0.0000 Sc
0.1572 0.3523 0.0000 Sc
0.3186 0.6814 0.5000 Sc
0.3523 0.1572 0.0000 Sc
0.6477 0.8428 0.0000 Sc
0.6814 0.3186 0.5000 Sc
0.8428 0.6477 0.0000 Sc

---

3.
Sc2GaF8 (PBE, optimized geometry); calculated volume = 149.5 Å³ per cell; formation energy without anion corrections = -3.3361 eV per atom; crystal system = monoclinic; N(E_F) = 2.01 states/eV/cell
1.0
4.3375 -3.3193 0.0000
4.3375 3.3193 0.0000
-1.2174 0.0000 5.1934
Sc Ga F
2 1 8
Direct
0.1808 0.1808 0.4392 Sc
0.8192 0.8192 0.5608 Sc
0.5000 0.5000 0.0000 Ga
0.0585 0.0585 0.7332 F
0.1582 0.5456 0.6862 F
0.3248 0.3248 0.1947 F
0.4544 0.8418 0.3138 F
0.5456 0.1582 0.6862 F
0.6752 0.6752 0.8053 F
0.8418 0.4544 0.3138 F
0.9415 0.9415 0.2668 F

---

4.
HfZrOs2 (PBE, optimized geometry); formation energy = -613.3 meV per atom; calculated volume = 69.9 Å³ per cell; crystal system = cubic; N(E_F) = 0.47 states/eV/cell
1.0
0.0000 3.2696 3.2696
3.2696 0.0000 3.2696
3.2696 3.2696 0.0000
Hf Zr Os
1 1 2
Direct
0.0000 0.0000 0.0000 Hf
0.5000 0.5000 0.5000 Zr
0.2500 0.2500 0.2500 Os
0.7500 0.7500 0.7500 Os
~~~
[Request]
Your job: filter the contents earlier on: keep the lines with the word "Hf".
[Response]
Hf Zr Os
0.0000 0.0000 0.0000 Hf